Contents.
........
No. 1
C12H10NPS | ωB97M-V with the def2-TZVPD basis set

Values from the calculation:
<S²>: 2.0135
orbital gap (alpha / beta): 6.474 / 8.016 eV
spin multiplicity: 3

XYZ file:
```
25
Properties=species:S:1:pos:R:3:mulliken_charge:R:1
C 4.09590 0.09369 -0.70174 -0.63
C -3.14707 1.65585 1.29951 -0.21
C 2.90528 0.78192 -0.68624 -0.14
C 4.03373 -1.30520 -0.45689 -0.28
C -3.49006 1.90203 0.00986 -0.57
C -2.38866 0.56301 1.70044 -0.79
C 1.66699 0.21938 -0.51786 -0.39
C 2.79047 -1.92913 -0.22856 -0.97
C -2.95579 1.08406 -0.94776 -0.49
C -1.97779 -0.37272 0.75133 0.31
C 1.68883 -1.10646 -0.32340 0.61
C -2.27347 -0.08327 -0.59568 0.57
N -1.39014 -1.61074 1.03207 -0.15
P -0.78670 -2.51975 -0.24854 -0.07
S -1.58881 -1.32797 -1.70057 -0.15
H 4.99845 0.63048 -0.96464 0.38
H -3.41267 2.37611 2.09473 0.31
H 2.92923 1.93608 -0.90150 0.17
H 4.96505 -1.76634 -0.40086 0.40
H -3.99789 2.91971 -0.33644 0.22
H -1.96910 0.47093 2.67744 0.34
H 0.79668 0.91015 -0.52831 0.32
H 2.62604 -2.91208 0.03728 0.48
H -3.08618 1.17101 -1.96609 0.47
H -1.03231 -1.78075 1.90241 0.27
```



No. 2
C5H14N | ωB97M-V with the def2-TZVPD basis set

Values from the calculation:
net charge: +1
SMILES: CCC[C@H](C)[NH3+]
orbital gap: 11.736 eV

XYZ file:
```
20
Properties=species:S:1:pos:R:3:mulliken_charge:R:1
C 2.09234 0.79585 1.26602 -1.10
C 1.35676 0.92031 -0.09698 -0.52
C 0.64403 -0.38910 -0.48129 -0.78
C -0.76146 -0.52426 0.11656 0.23
C -1.48882 -1.66299 -0.57451 -1.60
N -1.60480 0.72819 -0.19441 -0.27
H 2.65947 1.68625 1.51748 0.37
H 1.32361 0.45542 1.96852 0.28
H 2.79046 -0.03425 1.14301 0.31
H 2.15994 1.08587 -0.82583 0.31
H 0.72582 1.77590 -0.32312 0.37
H 1.28835 -1.21209 -0.15562 0.40
H 0.54053 -0.52793 -1.56832 0.37
H -0.74863 -0.52674 1.20170 0.28
H -2.54392 -1.78288 -0.33902 0.45
H -1.01225 -2.62562 -0.42864 0.35
H -1.47767 -1.43220 -1.64009 0.50
H -1.81320 1.26253 0.64192 0.34
H -2.43637 0.41289 -0.68860 0.36
H -1.16339 1.41058 -0.81550 0.35
```



No. 3
C41H74N6P | ωB97M-V with the def2-TZVPD basis set

Values from the calculation:
net charge: -1
orbital gap: 4.894 eV

XYZ file:
```
122
Properties=species:S:1:pos:R:3:mulliken_charge:R:1
C -5.39288 -3.08154 4.10860 -1.46
C -5.33678 -1.76383 3.34252 0.13
C -4.52448 -0.67934 4.06072 -0.84
C -3.15987 -0.45520 3.41042 0.17
C -2.36074 0.60801 4.14477 -1.07
C -1.29650 1.33281 3.31108 -0.82
C -1.78542 2.62528 2.62372 -0.89
C -1.61916 2.63972 1.09036 -0.73
C -2.45535 1.55525 0.43195 0.02
C -2.42609 1.55070 -1.09252 0.53
C -3.29120 0.36893 -1.59801 -1.15
C -2.46470 -0.71628 -2.27956 -1.04
C -1.81336 -1.69315 -1.28038 0.38
C -1.60958 -3.05409 -1.93304 -1.05
C -0.80502 -4.02135 -1.08222 -0.97
C 0.63954 -3.57160 -0.82394 -0.49
C 1.68426 -4.68221 -1.04409 -0.65
C 2.83019 -4.68403 0.00383 -0.87
C 4.23767 -4.52232 -0.62083 -0.70
C 4.89838 -3.18813 -0.23855 -1.49
P 6.44158 -3.29884 0.92135 -0.26
C 7.70540 -3.02941 -0.52022 -0.85
N 8.97467 -3.76734 -0.30875 -0.71
H -5.62598 -2.90698 5.15424 0.35
H -4.41804 -3.56430 4.04733 0.40
H -6.12722 -3.75784 3.68284 0.34
H -4.96560 -1.96140 2.33891 0.16
H -6.35892 -1.40953 3.22979 -0.01
H -5.05851 0.25865 3.94550 0.41
H -4.41187 -0.94281 5.10912 0.40
H -3.36279 -0.19580 2.37661 -0.21
H -2.61630 -1.39714 3.38947 0.35
H -3.01721 1.35939 4.58000 0.38
H -1.84728 0.11243 4.96459 0.42
H -0.50083 1.62707 3.98966 0.43
H -0.82573 0.68834 2.57358 0.47
H -2.84916 2.75987 2.80496 0.45
H -1.24762 3.48768 3.00447 0.41
H -2.00734 3.59603 0.73969 0.40
H -0.57177 2.53745 0.81610 0.18
H -3.49436 1.64943 0.74229 0.36
H -2.09278 0.58329 0.74330 -0.20
H -1.41917 1.33747 -1.43969 -0.51
H -2.74452 2.49510 -1.52551 0.17
H -3.82388 -0.07786 -0.76352 0.42
H -4.06149 0.71279 -2.28621 0.40
H -1.66476 -0.30466 -2.88767 0.27
H -3.13641 -1.31725 -2.88687 0.56
H -2.42694 -1.77498 -0.38417 0.05
H -0.85203 -1.29446 -0.95996 0.20
H -2.59649 -3.48688 -2.09669 0.42
H -1.13237 -2.88048 -2.89469 0.40
H -1.33781 -4.23608 -0.15986 0.33
H -0.77245 -4.96753 -1.61861 0.47
H 0.91308 -2.75137 -1.48332 0.26
........
Assignment.
What is needed: find the line further above that holds "-0.52831 0.32", then print that line and all lines after it there.
Here it is.
H 0.79668 0.91015 -0.52831 0.32
H 2.62604 -2.91208 0.03728 0.48
H -3.08618 1.17101 -1.96609 0.47
H -1.03231 -1.78075 1.90241 0.27
```



No. 2
C5H14N | ωB97M-V with the def2-TZVPD basis set

Values from the calculation:
net charge: +1
SMILES: CCC[C@H](C)[NH3+]
orbital gap: 11.736 eV

XYZ file:
```
20
Properties=species:S:1:pos:R:3:mulliken_charge:R:1
C 2.09234 0.79585 1.26602 -1.10
C 1.35676 0.92031 -0.09698 -0.52
C 0.64403 -0.38910 -0.48129 -0.78
C -0.76146 -0.52426 0.11656 0.23
C -1.48882 -1.66299 -0.57451 -1.60
N -1.60480 0.72819 -0.19441 -0.27
H 2.65947 1.68625 1.51748 0.37
H 1.32361 0.45542 1.96852 0.28
H 2.79046 -0.03425 1.14301 0.31
H 2.15994 1.08587 -0.82583 0.31
H 0.72582 1.77590 -0.32312 0.37
H 1.28835 -1.21209 -0.15562 0.40
H 0.54053 -0.52793 -1.56832 0.37
H -0.74863 -0.52674 1.20170 0.28
H -2.54392 -1.78288 -0.33902 0.45
H -1.01225 -2.62562 -0.42864 0.35
H -1.47767 -1.43220 -1.64009 0.50
H -1.81320 1.26253 0.64192 0.34
H -2.43637 0.41289 -0.68860 0.36
H -1.16339 1.41058 -0.81550 0.35
```



No. 3
C41H74N6P | ωB97M-V with the def2-TZVPD basis set

Values from the calculation:
net charge: -1
orbital gap: 4.894 eV

XYZ file:
```
122
Properties=species:S:1:pos:R:3:mulliken_charge:R:1
C -5.39288 -3.08154 4.10860 -1.46
C -5.33678 -1.76383 3.34252 0.13
C -4.52448 -0.67934 4.06072 -0.84
C -3.15987 -0.45520 3.41042 0.17
C -2.36074 0.60801 4.14477 -1.07
C -1.29650 1.33281 3.31108 -0.82
C -1.78542 2.62528 2.62372 -0.89
C -1.61916 2.63972 1.09036 -0.73
C -2.45535 1.55525 0.43195 0.02
C -2.42609 1.55070 -1.09252 0.53
C -3.29120 0.36893 -1.59801 -1.15
C -2.46470 -0.71628 -2.27956 -1.04
C -1.81336 -1.69315 -1.28038 0.38
C -1.60958 -3.05409 -1.93304 -1.05
C -0.80502 -4.02135 -1.08222 -0.97
C 0.63954 -3.57160 -0.82394 -0.49
C 1.68426 -4.68221 -1.04409 -0.65
C 2.83019 -4.68403 0.00383 -0.87
C 4.23767 -4.52232 -0.62083 -0.70
C 4.89838 -3.18813 -0.23855 -1.49
P 6.44158 -3.29884 0.92135 -0.26
C 7.70540 -3.02941 -0.52022 -0.85
N 8.97467 -3.76734 -0.30875 -0.71
H -5.62598 -2.90698 5.15424 0.35
H -4.41804 -3.56430 4.04733 0.40
H -6.12722 -3.75784 3.68284 0.34
H -4.96560 -1.96140 2.33891 0.16
H -6.35892 -1.40953 3.22979 -0.01
H -5.05851 0.25865 3.94550 0.41
H -4.41187 -0.94281 5.10912 0.40
H -3.36279 -0.19580 2.37661 -0.21
H -2.61630 -1.39714 3.38947 0.35
H -3.01721 1.35939 4.58000 0.38
H -1.84728 0.11243 4.96459 0.42
H -0.50083 1.62707 3.98966 0.43
H -0.82573 0.68834 2.57358 0.47
H -2.84916 2.75987 2.80496 0.45
H -1.24762 3.48768 3.00447 0.41
H -2.00734 3.59603 0.73969 0.40
H -0.57177 2.53745 0.81610 0.18
H -3.49436 1.64943 0.74229 0.36
H -2.09278 0.58329 0.74330 -0.20
H -1.41917 1.33747 -1.43969 -0.51
H -2.74452 2.49510 -1.52551 0.17
H -3.82388 -0.07786 -0.76352 0.42
H -4.06149 0.71279 -2.28621 0.40
H -1.66476 -0.30466 -2.88767 0.27
H -3.13641 -1.31725 -2.88687 0.56
H -2.42694 -1.77498 -0.38417 0.05
H -0.85203 -1.29446 -0.95996 0.20
H -2.59649 -3.48688 -2.09669 0.42
H -1.13237 -2.88048 -2.89469 0.40
H -1.33781 -4.23608 -0.15986 0.33
H -0.77245 -4.96753 -1.61861 0.47
H 0.91308 -2.75137 -1.48332 0.26